Friday, February 5, 2010

Find Customers

I have searched the internet, surfed the internet, explored the internet, rummaged through everything and i have come to the following conclusions: (find customers)

Crystal structures that have nothing to do with the piece:
┌──
1.
First-principles (PBE) data for an optimized crystal structure of Y2HgMo, as listed in the Alexandria database.

```
data_Y2HgMo
_cell_length_a 3.5308
_cell_length_b 3.5885
_cell_length_c 7.5285
_cell_angle_alpha 90.00
_cell_angle_beta 90.06
_cell_angle_gamma 90.00
_space_group_name_H-M_alt 'P 1'
_space_group_IT_number 1
_space_group_name_Hall 'P 1'
loop_
_atom_site_label
_atom_site_type_symbol
_atom_site_fract_x
_atom_site_fract_y
_atom_site_fract_z
Y1 Y 0.0006 0.0000 0.2738
Y2 Y 0.9994 0.0000 0.7262
Hg1 Hg 0.5000 0.5000 0.0000
Mo1 Mo 0.5000 0.5000 0.5000
```

Summary:
volume	23.85	Å³ per atom
energy of formation from the pure elements	-8	meV per atom
total moment	0.00	μB per formula unit
symmetry	P2/m
final energy	-6.023	eV/atom
theoretical density	8.257	Mg/m³

***

2.
First-principles (PBE) data for an optimized crystal structure of Y4HgMo, as listed in the Alexandria database.

```
data_Y4HgMo
_cell_length_a 6.0665
_cell_length_b 6.0665
_cell_length_c 6.0665
_cell_angle_alpha 60.00
_cell_angle_beta 60.00
_cell_angle_gamma 60.00
_space_group_name_H-M_alt 'P 1'
_space_group_IT_number 1
_space_group_name_Hall 'P 1'
loop_
_atom_site_label
_atom_site_type_symbol
_atom_site_fract_x
_atom_site_fract_y
_atom_site_fract_z
Y1 Y 0.3760 0.3760 0.3760
Y2 Y 0.3760 0.3760 0.8720
Y3 Y 0.3760 0.8720 0.3760
Y4 Y 0.8720 0.3760 0.3760
Hg1 Hg 0.0000 0.0000 0.0000
Mo1 Mo 0.7500 0.7500 0.7500
```

Summary:
volume	26.31	Å³ per atom
energy of formation from the pure elements	752	meV per atom
total moment	0.00	μB per formula unit
symmetry	F-43m
final energy	-5.413	eV/atom
theoretical density	6.860	Mg/m³

***

3.
First-principles (PBE) data for an optimized crystal structure of YHgMo2, as listed in the Alexandria database.

```
data_YHgMo2
_cell_length_a 4.7991
_cell_length_b 4.7991
_cell_length_c 4.7991
_cell_angle_alpha 60.00
_cell_angle_beta 60.00
_cell_angle_gamma 60.00
_space_group_name_H-M_alt 'P 1'
_space_group_IT_number 1
_space_group_name_Hall 'P 1'
loop_
_atom_site_label
_atom_site_type_symbol
_atom_site_fract_x
_atom_site_fract_y
_atom_site_fract_z
Y1 Y 0.0000 0.0000 0.0000
Hg1 Hg 0.7500 0.7500 0.7500
Mo1 Mo 0.2500 0.2500 0.2500
Mo2 Mo 0.5000 0.5000 0.5000
```

Summary:
volume	19.54	Å³ per atom
energy of formation from the pure elements	368	meV per atom
total moment	0.00	μB per formula unit
symmetry	F-43m
final energy	-6.739	eV/atom
theoretical density	10.227	Mg/m³

***

4.
First-principles (PBE) data for an optimized crystal structure of Y2HgMo, as listed in the Alexandria database.

```
data_Y2HgMo
_cell_length_a 5.1676
_cell_length_b 5.1676
_cell_length_c 3.5489
_cell_angle_alpha 90.00
_cell_angle_beta 90.00
_cell_angle_gamma 90.00
_space_group_name_H-M_alt 'P 1'
_space_group_IT_number 1
_space_group_name_Hall 'P 1'
loop_
_atom_site_label
_atom_site_type_symbol
_atom_site_fract_x
_atom_site_fract_y
_atom_site_fract_z
Y1 Y 0.0000 0.5000 0.0000
Y2 Y 0.5000 0.0000 0.0000
Hg1 Hg 0.0000 0.0000 0.5000
Mo1 Mo 0.5000 0.5000 0.5000
```

Summary:
└──

1. Internet is one media that reaches everyone and with Web 2.0, everyone can contribute to this massive information storehouse.
2. Whenever there is such a lot of information, there are always a gazillion people trying to find answers.
3.When there are a gazillion people looking for things, some people's eyes instantly light up. Yes you guessed it right-its the advertisers and their ads!! (find customers)

The internet, like any other media, is run by advertisement and marketing industry. Why? Because there are so many goods, services and ideas which can be sold to these many gazillion people!(find customers)

Now why am i prattling about all this when the topic of my post is "Im what you are looking for!". Well its simple. Its because i like to beat about the bush. Heres the real deal:

Most of us, or in fact everyone of us is a potential customer. But the key word there is potential. Why potential? Because most of us , by most of us i mean the common surfers, come to our computers for fun. Be it games, chat with friends or random strangers, social networking, music or any fun thing for that matter. So most of us are targetted by ads in our unknowing state,or unconsciously and when that happens, the chances of the potential customer getting converted to an actual customer are quite low.(find customers)

I, am not a potential customer. I am your customer. Yes you read that correctly. I am your customer and i will buy stuff from you because i have to buy those things anyway. So heres what i like to buy:(find customers)

1.] Books, mostly philosophical, poems, classic literature, psychology related. But i will never put down a good read.
2.] Music. Anything and everything related to music be it ipods, ipod accessories, headphones, CDs, DVDs, CD DVD cases anything and i mean anything!
3.] Clothes, and other apparel. From Caps, Eye Glasses, T-Shirts, Shirts, Jeans, Trousers,Shoes and everything one could possibly wear.
4.] Yes i am willing to buy anything and everything you want to sell to me!!

== Records of crystals from another source follow ==
____________
[1]
# ThVRe, optimized geometry, DFT PBE-GGA
# **Offset from the most stable computed form**: 0 meV per atom
# **Mass density**: 13.1 g cm⁻³
# **Magnetization**: 0.000 μB per atom
# **E_form**: 0.4 eV per formula unit
# **Volume**: 19.84 A^3/atom
# **Fermi-level density of states**: 1.076 states/eV/atom
data_ThVRe
_symmetry_space_group_name_H-M 'I 4 m m'
_symmetry_Int_Tables_number 107
_symmetry_space_group_name_Hall 'I 4 -2'
_cell_length_a 3.189
_cell_length_b 3.189
_cell_length_c 11.711
_cell_angle_alpha 90.00
_cell_angle_beta 90.00
_cell_angle_gamma 90.00
loop_
_atom_site_label
_atom_site_type_symbol
_atom_site_fract_x
_atom_site_fract_y
_atom_site_fract_z
_atom_site_occupancy
Th1 Th 0.000 0.000 0.000 1
V1 V 0.000 0.000 0.705 1
Re1 Re 0.000 0.000 0.305 1



[2]
# ThVRe, optimized geometry, DFT PBE-GGA
# **Offset from the most stable computed form**: 289 meV per atom
# **Mass density**: 11.7 g cm⁻³
# **Magnetization**: 0.000 μB per atom
# **E_form**: 1.3 eV per formula unit
# **Volume**: 22.26 A^3/atom
# **Fermi-level density of states**: 0.814 states/eV/atom
data_ThVRe
_symmetry_space_group_name_H-M 'R -3 m'
_symmetry_Int_Tables_number 166
_symmetry_space_group_name_Hall '-R 3 2"'
_cell_length_a 4.1923
_cell_length_b 4.1923
_cell_length_c 26.3219
_cell_angle_alpha 90.00
_cell_angle_beta 90.00
_cell_angle_gamma 120.00
loop_
_atom_site_label
_atom_site_type_symbol
_atom_site_fract_x
_atom_site_fract_y
_atom_site_fract_z
_atom_site_occupancy
Th1 Th 0.0000 0.0000 0.1200 1
V1 V 0.0000 0.0000 0.2759 1
Re1 Re 0.0000 0.0000 0.3714 1



[3]
# ThRe2W, optimized geometry, DFT PBE-GGA
# **Mass density**: 17.3 g cm⁻³
# **Magnetization**: 0.000 μB per atom
# **E_form**: 2.4 eV per formula unit
# **Volume**: 18.91 A^3/atom
# **Fermi-level density of states**: 1.071 states/eV/atom
data_ThRe2W
_symmetry_space_group_name_H-M 'R -3 m'
_symmetry_Int_Tables_number 166
_symmetry_space_group_name_Hall '-R 3 2"'
_cell_length_a 3.0515
_cell_length_b 3.0515
_cell_length_c 28.1456
_cell_angle_alpha 90.00
_cell_angle_beta 90.00
_cell_angle_gamma 120.00
loop_
_atom_site_label
_atom_site_type_symbol
_atom_site_fract_x
_atom_site_fract_y
_atom_site_fract_z
_atom_site_occupancy
Th1 Th 0.0000 0.0000 0.0000 1
Re1 Re 0.0000 0.0000 0.2370 1
W1 W 0.0000 0.0000 0.5000 1



[4]
# Th2Re3W, optimized geometry, DFT PBE-GGA
# **Mass density**: 16.5 g cm⁻³
# **Magnetization**: 0.000 μB per atom
# **E_form**: -0.1 eV per formula unit
# **Volume**: 20.24 A^3/atom
# **Fermi-level density of states**: 1.153 states/eV/atom
data_Th2Re3W
_symmetry_space_group_name_H-M 'C 1 2/m 1'
_symmetry_Int_Tables_number 12
_symmetry_space_group_name_Hall '-C 2y'
_cell_length_a 9.137
_cell_length_b 5.708
_cell_length_c 5.436
_cell_angle_alpha 90.00
_cell_angle_beta 121.04
_cell_angle_gamma 90.00
loop_
_atom_site_label
_atom_site_type_symbol
_atom_site_fract_x
_atom_site_fract_y
_atom_site_fract_z
_atom_site_occupancy
Th1 Th 0.125 0.000 0.375 1
Re1 Re 0.000 0.500 0.500 1
Re2 Re 0.250 0.250 0.000 1
____________

But now you would ask how will i be able to buy all that? Am i very rich? Do i have that sort of financial freedom and ancestral wealth? The answer is No. I am not rich. In fact, i don't have any money to buy all that stuff from you. Where will the money come from? Who is going to give me the money?(find customers)

_Between two parts of the article: crystal structures_
........
i.
Compound: Li2BiPb2
Source: Alexandria via LeMat-Bulk
Functional: PBEsol
Structure: relaxed

```
Li2BiPb2
1.0
-1.018 3.340 -2.737
2.573 -1.789 -3.140
-5.792 -4.113 0.731
Pb Bi Li
2 1 2
Direct
0.388 0.388 0.776
0.612 0.612 0.224
0.000 0.000 0.000
0.250 0.750 0.500
0.750 0.250 0.500
```

* volume: 25.25 Å³/atom

=====

ii.
Compound: Li2BiPb2
Source: Alexandria via LeMat-Bulk
Functional: PBEsol
Structure: relaxed

```
Li2BiPb2
1.0
4.368 0.000 0.000
0.000 7.386 0.000
0.000 0.000 7.386
Pb Bi Li
4 2 4
Direct
0.500 0.166 0.666
0.500 0.666 0.834
0.500 0.834 0.334
0.500 0.334 0.166
0.000 0.000 0.000
0.000 0.500 0.500
0.000 0.362 0.862
0.000 0.862 0.638
0.000 0.638 0.138
0.000 0.138 0.362
```

* volume: 23.83 Å³/atom

=====

Which is most stable, and by how much? ii, by 167 meV/atom.

=====

i.
Compound: Li5BiS4
Source: Alexandria via LeMat-Bulk
Functional: PBEsol
Structure: relaxed

```
Li5BiS4
1.0
-2.400 -5.505 4.293
-2.384 0.577 -6.962
5.854 -4.400 -2.369
Li Bi S
10 2 8
Direct
0.235 0.138 0.702
0.138 0.235 0.202
0.402 0.135 0.014
0.135 0.402 0.514
0.163 0.837 0.364
0.837 0.163 0.864
0.598 0.865 0.514
0.865 0.598 0.014
0.765 0.862 0.202
0.862 0.765 0.702
0.331 0.669 0.890
0.669 0.331 0.390
0.504 0.970 0.240
0.970 0.504 0.740
0.015 0.985 0.965
0.985 0.015 0.465
0.524 0.476 0.154
0.476 0.524 0.654
0.496 0.030 0.740
0.030 0.496 0.240
```

* volume: 18.14 Å³/atom

=====

ii.
Compound: Li5BiS4
Source: Alexandria via LeMat-Bulk
Functional: PBEsol
Structure: relaxed

```
Li5BiS4
1.0
3.908 0.000 0.000
0.000 7.152 0.000
-1.954 -3.576 6.662
S Bi Li
4 1 5
Direct
0.000 0.276 0.000
0.714 0.214 0.428
0.286 0.786 0.572
0.000 0.724 0.000
0.500 0.000 0.000
0.179 0.969 0.357
0.179 0.388 0.357
0.821 0.612 0.643
0.821 0.031 0.643
0.500 0.500 0.000
```

* volume: 18.62 Å³/atom

=====

iii.
Compound: Li5BiS4
Source: Alexandria via LeMat-Bulk
Functional: PBEsol
Structure: relaxed

```
Li5BiS4
1.0
5.883 0.000 0.000
0.000 16.373 0.000
0.000 0.000 16.373
Li Bi S
40 8 32
Direct
0.000 0.763 0.237
0.500 0.737 0.263
0.000 0.237 0.237
0.500 0.263 0.263
0.571 0.113 0.362
0.571 0.887 0.362
0.000 0.372 0.372
0.000 0.628 0.372
0.071 0.862 0.387
0.071 0.138 0.387
0.097 0.000 0.500
0.500 0.500 0.500
0.000 0.500 0.500
0.597 0.000 0.500
0.071 0.862 0.613
0.071 0.138 0.613
0.000 0.372 0.628
0.000 0.628 0.628
0.571 0.887 0.638
0.571 0.113 0.638
0.000 0.237 0.763
0.500 0.263 0.737
0.000 0.763 0.763
0.500 0.737 0.737
0.929 0.387 0.862
0.929 0.613 0.862
0.500 0.872 0.872
0.500 0.128 0.872
0.429 0.362 0.887
0.429 0.638 0.887
0.500 0.000 0.000
0.000 0.000 0.000
0.903 0.500 0.000
0.403 0.500 0.000
0.429 0.362 0.113
0.429 0.638 0.113
0.500 0.872 0.128
0.500 0.128 0.128
0.929 0.387 0.138
0.929 0.613 0.138
0.456 0.500 0.269
0.544 0.269 0.500
0.544 0.731 0.500
0.456 0.500 0.731
0.044 0.000 0.769
0.956 0.769 0.000
0.956 0.231 0.000
0.044 0.000 0.231
0.286 0.864 0.259
0.286 0.136 0.259
0.786 0.759 0.364
0.786 0.241 0.364
0.848 0.000 0.382
0.775 0.500 0.382
0.348 0.882 0.500
0.225 0.382 0.500
........

The answer to that question is: You! Yes you are going to give me the money to buy all that. But don't get me wrong, i am not begging you for money and neither is that money going to come out of your pocket. Well then how are you going to give me money?(find customers)

You are going to help me help you by simply clicking on the advertisements on my blog. The more ads you click, the more money i earn and the more products i buy from you. Yes, its that simple!!(find customers)

All you have to do is visit my blog everyday, click on the advertisements and buy all that stuff if you like, and when your done clicking the few ads on my blog, just leave your email address( because i would need to contact you) and name on the comments section everyday. Yes everyday, don't forget to click and leave the comment and get as many as your friends to click on these ads so that i can buy your product at the end of the month and you earn whatever commission from your company!(find customers)

To our success...Click Click Click...Cheers!

Your Customer